== What to do ==
Your job: set down all of the contents further down unchanged.
== Entries ==
+++
Record 1
DFT (PBE) results for a relaxed Sr4Ce3VN8 crystal.

Geometry as POSCAR:
```
Sr4Ce3VN8
1.0
-5.115 -4.859 -0.187
2.812 -3.184 5.810
-1.654 6.856 0.271
Sr Ce V N
4 3 1 8
Direct
0.500 0.000 0.000 Sr
0.500 0.000 0.500 Sr
0.000 0.000 0.000 Sr
0.000 0.000 0.500 Sr
0.500 0.500 0.000 Ce
0.500 0.500 0.500 Ce
0.000 0.500 0.500 Ce
0.000 0.500 0.000 V
0.221 0.700 0.978 N
0.222 0.700 0.443 N
0.264 0.292 0.528 N
0.757 0.700 0.978 N
0.243 0.300 0.022 N
0.736 0.708 0.472 N
0.778 0.300 0.557 N
0.779 0.300 0.022 N
```

Values from the calculation:
The final energy is -116.14 eV for the cell shown. Its symmetry is R-3m.



Record 2
DFT (PBE) results for a relaxed SrCe2WN4 crystal.

Geometry as POSCAR:
```
SrCe2WN4
1.0
3.557 0.000 0.000
-1.779 6.145 0.000
0.000 0.000 12.053
Sr Ce W N
2 4 2 8
Direct
0.112 0.223 0.750 Sr
0.888 0.777 0.250 Sr
0.368 0.737 0.538 Ce
0.632 0.263 0.038 Ce
0.632 0.263 0.462 Ce
0.368 0.737 0.962 Ce
0.845 0.691 0.750 W
0.155 0.309 0.250 W
0.259 0.517 0.126 N
0.741 0.483 0.626 N
0.741 0.483 0.874 N
0.259 0.517 0.374 N
0.000 0.000 0.500 N
0.000 0.000 0.000 N
0.420 0.841 0.750 N
0.580 0.159 0.250 N
```

Values from the calculation:
The final energy is -135.22 eV for the cell shown. Its symmetry is Cmcm.



Record 3
DFT (PBE) results for a relaxed SrCeWN4 crystal.

Geometry as POSCAR:
```
SrCeWN4
1.0
-0.779 -3.002 4.666
1.702 -4.582 -2.664
6.522 2.726 -0.521
Sr Ce W N
2 2 2 8
Direct
0.605 0.750 0.210 Sr
0.395 0.250 0.790 Sr
0.099 0.250 0.199 Ce
0.901 0.750 0.801 Ce
0.270 0.750 0.539 W
0.730 0.250 0.461 W
0.940 0.250 0.880 N
0.411 0.750 0.822 N
0.060 0.750 0.120 N
0.589 0.250 0.178 N
0.500 0.500 0.500 N
0.000 0.000 0.500 N
0.500 0.000 0.500 N
0.000 0.500 0.500 N
```

Values from the calculation:
The final energy is -120.91 eV for the cell shown. Its symmetry is Cmcm.



Record 4
DFT (PBE) results for a relaxed Sr3Ce3WN8 crystal.

Geometry as POSCAR:
```
Sr3Ce3WN8
1.0
-1.553 2.311 6.412
0.466 -6.867 -1.222
6.035 3.962 0.034
Sr Ce W N
3 3 1 8
Direct
0.000 0.000 0.000 Sr
0.000 0.500 0.000 Sr
0.500 0.500 0.000 Sr
0.500 0.000 0.500 Ce
0.500 0.500 0.500 Ce
0.000 0.500 0.500 Ce
0.000 0.000 0.500 W
0.263 0.527 0.290 N
0.737 0.473 0.710 N
0.791 0.582 0.314 N
0.209 0.418 0.686 N
0.791 0.023 0.314 N
0.209 0.977 0.686 N
0.231 0.023 0.314 N
0.769 0.977 0.686 N
```

Values from the calculation:
The final energy is -118.13 eV for the cell shown. Its symmetry is R-3m.



Record 5
DFT (PBE) results for a relaxed SrCeZrN3 crystal.

Geometry as POSCAR:
```
SrCeZrN3
1.0
3.375 0.000 0.000
0.000 6.775 0.848
0.000 -1.532 9.607
Sr Ce Zr N
2 2 2 6
Direct
0.750 0.862 0.801 Sr
0.250 0.138 0.199 Sr
0.250 0.203 0.574 Ce
0.750 0.797 0.426 Ce
0.250 0.630 0.109 Zr
0.750 0.370 0.891 Zr
0.250 0.868 0.574 N
0.750 0.818 0.178 N
0.750 0.394 0.101 N
0.750 0.132 0.426 N
0.250 0.606 0.899 N
0.250 0.182 0.822 N
```

Values from the calculation:
The final energy is -96.27 eV for the cell shown. Its symmetry is P2_1/m.



Record 6
DFT (PBE) results for a relaxed Sr3Ce2ZrN6 crystal.

Geometry as POSCAR:
```
Sr3Ce2ZrN6
1.0
-0.207 -3.025 -5.383
5.292 0.313 3.172
-3.120 -4.137 3.620
Sr Ce Zr N
3 2 1 6
Direct
0.164 0.836 0.500 Sr
0.836 0.164 0.500 Sr
0.500 0.500 0.500 Sr
0.333 0.667 0.000 Ce
0.667 0.333 0.000 Ce
0.000 0.000 0.000 Zr
0.932 0.612 0.795 N
0.748 0.748 0.204 N
0.068 0.388 0.205 N
0.612 0.932 0.795 N
0.252 0.252 0.796 N
0.388 0.068 0.205 N
```

Values from the calculation:
The final energy is -90.11 eV for the cell shown. Its symmetry is C2/m.



Record 7
DFT (PBE) results for a relaxed Sr4Ce3ZrN8 crystal.

Geometry as POSCAR:
```
Sr4Ce3ZrN8
1.0
-4.073 5.422 2.352
-4.608 -1.060 -5.536
1.584 -5.461 4.380
Sr Ce Zr N
4 3 1 8
Direct
0.500 0.000 0.000 Sr
0.500 0.000 0.500 Sr
0.000 0.000 0.000 Sr
0.000 0.000 0.500 Sr
0.500 0.500 0.000 Ce
0.500 0.500 0.500 Ce
0.000 0.500 0.500 Ce
0.000 0.500 0.000 Zr
0.229 0.705 0.976 N
0.229 0.705 0.458 N
0.265 0.295 0.530 N
0.746 0.705 0.976 N
0.254 0.295 0.024 N
0.735 0.705 0.470 N
0.771 0.295 0.542 N
0.771 0.295 0.024 N
```
+++
== Outcome ==
Record 1
DFT (PBE) results for a relaxed Sr4Ce3VN8 crystal.

Geometry as POSCAR:
```
Sr4Ce3VN8
1.0
-5.115 -4.859 -0.187
2.812 -3.184 5.810
-1.654 6.856 0.271
Sr Ce V N
4 3 1 8
Direct
0.500 0.000 0.000 Sr
0.500 0.000 0.500 Sr
0.000 0.000 0.000 Sr
0.000 0.000 0.500 Sr
0.500 0.500 0.000 Ce
0.500 0.500 0.500 Ce
0.000 0.500 0.500 Ce
0.000 0.500 0.000 V
0.221 0.700 0.978 N
0.222 0.700 0.443 N
0.264 0.292 0.528 N
0.757 0.700 0.978 N
0.243 0.300 0.022 N
0.736 0.708 0.472 N
0.778 0.300 0.557 N
0.779 0.300 0.022 N
```

Values from the calculation:
The final energy is -116.14 eV for the cell shown. Its symmetry is R-3m.



Record 2
DFT (PBE) results for a relaxed SrCe2WN4 crystal.

Geometry as POSCAR:
```
SrCe2WN4
1.0
3.557 0.000 0.000
-1.779 6.145 0.000
0.000 0.000 12.053
Sr Ce W N
2 4 2 8
Direct
0.112 0.223 0.750 Sr
0.888 0.777 0.250 Sr
0.368 0.737 0.538 Ce
0.632 0.263 0.038 Ce
0.632 0.263 0.462 Ce
0.368 0.737 0.962 Ce
0.845 0.691 0.750 W
0.155 0.309 0.250 W
0.259 0.517 0.126 N
0.741 0.483 0.626 N
0.741 0.483 0.874 N
0.259 0.517 0.374 N
0.000 0.000 0.500 N
0.000 0.000 0.000 N
0.420 0.841 0.750 N
0.580 0.159 0.250 N
```

Values from the calculation:
The final energy is -135.22 eV for the cell shown. Its symmetry is Cmcm.



Record 3
DFT (PBE) results for a relaxed SrCeWN4 crystal.

Geometry as POSCAR:
```
SrCeWN4
1.0
-0.779 -3.002 4.666
1.702 -4.582 -2.664
6.522 2.726 -0.521
Sr Ce W N
2 2 2 8
Direct
0.605 0.750 0.210 Sr
0.395 0.250 0.790 Sr
0.099 0.250 0.199 Ce
0.901 0.750 0.801 Ce
0.270 0.750 0.539 W
0.730 0.250 0.461 W
0.940 0.250 0.880 N
0.411 0.750 0.822 N
0.060 0.750 0.120 N
0.589 0.250 0.178 N
0.500 0.500 0.500 N
0.000 0.000 0.500 N
0.500 0.000 0.500 N
0.000 0.500 0.500 N
```

Values from the calculation:
The final energy is -120.91 eV for the cell shown. Its symmetry is Cmcm.



Record 4
DFT (PBE) results for a relaxed Sr3Ce3WN8 crystal.

Geometry as POSCAR:
```
Sr3Ce3WN8
1.0
-1.553 2.311 6.412
0.466 -6.867 -1.222
6.035 3.962 0.034
Sr Ce W N
3 3 1 8
Direct
0.000 0.000 0.000 Sr
0.000 0.500 0.000 Sr
0.500 0.500 0.000 Sr
0.500 0.000 0.500 Ce
0.500 0.500 0.500 Ce
0.000 0.500 0.500 Ce
0.000 0.000 0.500 W
0.263 0.527 0.290 N
0.737 0.473 0.710 N
0.791 0.582 0.314 N
0.209 0.418 0.686 N
0.791 0.023 0.314 N
0.209 0.977 0.686 N
0.231 0.023 0.314 N
0.769 0.977 0.686 N
```

Values from the calculation:
The final energy is -118.13 eV for the cell shown. Its symmetry is R-3m.



Record 5
DFT (PBE) results for a relaxed SrCeZrN3 crystal.

Geometry as POSCAR:
```
SrCeZrN3
1.0
3.375 0.000 0.000
0.000 6.775 0.848
0.000 -1.532 9.607
Sr Ce Zr N
2 2 2 6
Direct
0.750 0.862 0.801 Sr
0.250 0.138 0.199 Sr
0.250 0.203 0.574 Ce
0.750 0.797 0.426 Ce
0.250 0.630 0.109 Zr
0.750 0.370 0.891 Zr
0.250 0.868 0.574 N
0.750 0.818 0.178 N
0.750 0.394 0.101 N
0.750 0.132 0.426 N
0.250 0.606 0.899 N
0.250 0.182 0.822 N
```

Values from the calculation:
The final energy is -96.27 eV for the cell shown. Its symmetry is P2_1/m.



Record 6
DFT (PBE) results for a relaxed Sr3Ce2ZrN6 crystal.

Geometry as POSCAR:
```
Sr3Ce2ZrN6
1.0
-0.207 -3.025 -5.383
5.292 0.313 3.172
-3.120 -4.137 3.620
Sr Ce Zr N
3 2 1 6
Direct
0.164 0.836 0.500 Sr
0.836 0.164 0.500 Sr
0.500 0.500 0.500 Sr
0.333 0.667 0.000 Ce
0.667 0.333 0.000 Ce
0.000 0.000 0.000 Zr
0.932 0.612 0.795 N
0.748 0.748 0.204 N
0.068 0.388 0.205 N
0.612 0.932 0.795 N
0.252 0.252 0.796 N
0.388 0.068 0.205 N
```

Values from the calculation:
The final energy is -90.11 eV for the cell shown. Its symmetry is C2/m.



Record 7
DFT (PBE) results for a relaxed Sr4Ce3ZrN8 crystal.

Geometry as POSCAR:
```
Sr4Ce3ZrN8
1.0
-4.073 5.422 2.352
-4.608 -1.060 -5.536
1.584 -5.461 4.380
Sr Ce Zr N
4 3 1 8
Direct
0.500 0.000 0.000 Sr
0.500 0.000 0.500 Sr
0.000 0.000 0.000 Sr
0.000 0.000 0.500 Sr
0.500 0.500 0.000 Ce
0.500 0.500 0.500 Ce
0.000 0.500 0.500 Ce
0.000 0.500 0.000 Zr
0.229 0.705 0.976 N
0.229 0.705 0.458 N
0.265 0.295 0.530 N
0.746 0.705 0.976 N
0.254 0.295 0.024 N
0.735 0.705 0.470 N
0.771 0.295 0.542 N
0.771 0.295 0.024 N
```